by Shane Conto, Staff Writer

Have you ever experienced a serious falling out with a dear friend? There are so many reasons why such a friendship might fall to pieces over time. Time could honestly be the key. Humans just might naturally fade apart and drift away from each other. This might be the most frustrating, because there is no real reason for all of it. But there could also be a catalyst that triggers an emotional and traumatic experience. These fallouts are certainly common in situations where a tight group is put through a challenging experience. I have never experienced this, but being in a band is one such environment that can cause great tension. 

What is one of the most famous fallouts in the music industry? Pink Floyd and the ousting of original front man, Syd Barrett. Have You Got It Yet? is a poignant recounting of this legendary moment in music that shifted gears in the trajectory of rock music. This new documentary comfortably balances the needs of a music biopic, but is also a deep dive into the dynamics of human beings in tumultuous times together. When looking at the history of Pink Floyd, this is quite a straightforward presentation. But that gives this film the structure to be able to explore the deeper meanings that line the film. 

What is this film’s core idea about Barrett and his dynamics with his bandmates? There was something tragic in the way this story played out. This is not an easy watch of the history of a band. There is plenty of regret in the words and experiences of his bandmates. The words of David Gilmour and Roger Waters (especially towards the end of the film) are harrowing and poignant. The regret feels so real. And the acknowledgment of how fragile our memories and biased they can be hits impactfully. There is a daring perspective that is portrayed in what otherwise feels like just another rock documentary. We hear from the colleagues, friends, family, and bandmates of Barrett who paint such a tragic, sensitive, and inspiring look at such a talent. You feel the wasted potential so vividly. 

What would this film be without the music? These songs hit so much deeper, for some reason, in this film. “Shine On You Crazy Diamond” has always been about the outstanding genius of Barrett, but when it plays in between these words and perspectives around the falling out and parallel journeys of Barrett and Pink Floyd, there is a whole new level of resonance that it takes on. The music of Pink Floyd is legendary. Early Floyd is dynamic and ethereal in a way that is hard to explain. The sound landscape that this film tackles is unexpected and powerful. Even when we reach the credits, there is a whole new level of musical experience that hits so deeply accompanying this layered tale. 

Is Have You Got It Yet? a journey worth taking? If you are a fan of music (and rock music in general), this is an eye-opening experience. We have heard the songs (and loved many of them), but nothing quite hits like the perspective portrayed in this new documentary. Even if you are not a fan of Pink Floyd or rock music in general, it is hard to deny the human story portrayed in this film, and the tragic journey that comes to life in every frame. 

Records of crystals that have nothing to do with the text
The following is a PBE calculation of a geometry-optimized La2YTl structure, from Alexandria.

Cell: 6.9906 5.4189 6.9931 Å, 90.00 102.58 90.00°
Atoms (fractional coordinates):
La1 0.0771 0.2500 0.3440
La2 0.4038 0.7500 0.6114
La3 0.5962 0.2500 0.3886
La4 0.9229 0.7500 0.6560
Y1 0.2431 0.2500 0.8883
Y2 0.7569 0.7500 0.1117
Tl1 0.2719 0.7500 0.1192
Tl2 0.7281 0.2500 0.8808

Summary:
* total energy: -4.8633 eV/atom
* calculated volume: 32.318 A^3/atom
* total magnetization: 0.000 μB per cell
* ρ: 7.34 g/cm³

* * * * *

# 1
This record from Alexandria describes a relaxed Cu2Tc crystal. The functional is GGA-PBE.

```
Cu2Tc
1.0
0.000 3.351 3.351
3.351 0.000 3.351
3.351 3.351 0.000
Cu Tc
4 2
direct
0.625 0.625 0.625
0.625 0.625 0.125
0.625 0.125 0.625
0.125 0.625 0.625
0.250 0.250 0.250
0.000 0.000 0.000
```

Results
calculated volume = 38 Å³/f.u.
excess energy over the best structure of this formula in the dataset = 0.13 eV/f.u.



# 2
This record from Alexandria describes a relaxed CuTc3 crystal. The functional is GGA-PBE.

```
CuTc3
1.0
4.823 0.000 0.000
0.000 4.823 0.000
0.000 0.000 4.823
Tc Cu
6 2
direct
0.250 0.500 0.000
0.500 0.000 0.250
0.500 0.000 0.750
0.000 0.750 0.500
0.750 0.500 0.000
0.000 0.250 0.500
0.500 0.500 0.500
0.000 0.000 0.000
```

Results
calculated volume = 56 Å³/f.u.
excess energy over the best structure of this formula in the dataset = 0.29 eV/f.u.



# 3
This record from Alexandria describes a relaxed Cu5Tc crystal. The functional is GGA-PBE.

```
Cu5Tc
1.0
-2.302 0.430 4.085
-2.227 -1.686 -3.791
1.131 -3.833 1.041
Cu Tc
5 1
direct
0.333 0.667 0.000
0.667 0.333 0.000
0.500 0.000 0.500
0.000 0.500 0.500
0.500 0.500 0.500
0.000 0.000 0.000
```

Results
calculated volume = 79 Å³/f.u.
excess energy over the best structure of this formula in the dataset = 1.66 eV/f.u.

* * * * *

## La2Al6CuAu (PBE)

Data for a relaxed La2Al6CuAu crystal.

Output
Energy relative to the elements in eV per atom: -0.572
Total moment in μB/f.u.: 0.00
Energy in eV/atom: -4.540

Unit cell a=4.336 b=4.336 c=10.876 alpha=90.00 beta=90.00 gamma=90.00
Fractional positions:
La (0.000, 0.000, 0.997)
Al (0.000, 0.500, 0.755)
Al (0.500, 0.000, 0.755)
Al (0.000, 0.000, 0.395)
Al (0.000, 0.500, 0.244)
La (0.500, 0.500, 0.488)
Au (0.000, 0.000, 0.627)
Al (0.500, 0.500, 0.908)
Cu (0.500, 0.500, 0.131)
Al (0.500, 0.000, 0.244)


## LaAl2CuAu (PBE)

Data for a relaxed LaAl2CuAu crystal.

Output
Energy relative to the elements in eV per atom: 1.338
Total moment in μB/f.u.: 0.00
Energy in eV/atom: -2.619

Unit cell a=5.862 b=5.140 c=5.862 alpha=90.00 beta=90.00 gamma=90.00
Fractional positions:
Al (0.000, 0.000, 0.500)
Al (0.500, 0.000, 0.000)
Au (0.500, 0.500, 0.500)
La (0.000, 0.000, 0.000)
Cu (0.000, 0.500, 0.000)


## LaAl4CuAu2 (PBE)

Data for a relaxed LaAl4CuAu2 crystal.

Output
Energy relative to the elements in eV per atom: -0.447
Total moment in μB/f.u.: 0.00
Energy in eV/atom: -4.266

Unit cell a=4.357 b=4.357 c=9.463 alpha=76.69 beta=76.69 gamma=60.00

Score: 8/10

Have You Got It Yet? is currently playing in theaters

You can read more from Shane Conto, and follow him on TwitterInstagram, and Letterboxd